February 27, 2012

50 Sketchbooks and learning I was a writer

I just got back from a great blogger conference in Nashville where I learned a ton of useful information, met some wonderful folks and was inspired to reach a bit deeper into my creativity stash.

stack of books

One session I attended was led by Nashville writer Jeff Goins who spoke about falling out of love with writing and ways to rekindle the flame. He challenged us to write about our own experiences with this and share them today on our blogs. So here goes. Sort of.

• Data records from another source follow:
'''
Density functional theory data (ωB97M-V/def2-TZVPD) for a structure of composition C22H29F3O5S at a distorted geometry.

For the LUMO energy, the calculation gives 0.544 eV. Its total energy is -52507.05156 eV. The strongest force on any atom comes out at 4.84 eV/A. As for the gap between HOMO and LUMO: 9.79 eV.

Geometry (Å):
C  0.315483  -1.354389  2.600287
C  0.396687  -2.819606  2.058398
C  -0.856288  -3.591096  2.611975
C  0.577767  -2.946841  0.503171
C  -0.778371  -3.148366  -0.270050
C  1.402654  -1.793161  -0.184380
O  0.517655  -1.066999  -1.068867
C  0.643859  0.332578  -1.005933
C  1.985536  0.657618  -1.728146
C  2.079607  2.086787  -2.312237
F  1.172558  2.330446  -3.327105
C  -0.704481  0.772754  -1.688461
O  -1.160415  2.078300  -1.305964
S  -0.547749  2.199801  0.247746
O  0.034734  3.552206  0.365945
O  -1.705336  1.979528  1.142933
O  0.589051  0.983784  0.272856
H  -0.343976  -0.746376  1.950245
H  -0.130341  -1.317947  3.616752
H  1.343569  -0.956426  2.662643
H  1.283313  -3.302371  2.529733
H  -1.000920  -4.548515  2.068540
H  -1.752074  -2.951309  2.442708
H  -0.737370  -3.743239  3.699489
H  1.145239  -3.890091  0.330639
H  -1.453028  -2.284430  -0.152459
H  -0.539465  -3.310589  -1.344473
H  -1.317904  -4.056762  0.058489
H  1.980323  -1.156991  0.510485
H  2.152313  -2.292565  -0.845820
H  2.786637  0.590411  -0.953580
H  2.232569  -0.103198  -2.488249
H  3.090918  2.182479  -2.767810
H  2.041243  2.877930  -1.532789
H  -1.425271  0.079277  -1.183668
H  -0.747338  0.467865  -2.746245
F  1.670383  0.756430  4.017737
C  2.372568  1.891484  3.854569
C  1.747497  2.991780  3.300758
C  2.465781  4.166837  3.127823
C  3.803540  4.223802  3.504451
C  4.421074  3.107136  4.057005
C  3.701091  1.932908  4.238361
H  0.707411  2.922972  3.007240
H  1.983618  5.036044  2.699548
H  4.364587  5.139839  3.366080
H  5.463622  3.150488  4.345750
H  4.162276  1.055221  4.673574
F  -3.481909  -1.868804  -1.581717
C  -3.800785  -1.276708  -2.745576
C  -4.171451  0.056488  -2.746139
C  -4.494635  0.669676  -3.949802
C  -4.453343  -0.058283  -5.133906
C  -4.083532  -1.398055  -5.116566
C  -3.749428  -2.011808  -3.916175
H  -4.205160  0.604684  -1.812446
H  -4.778943  1.713966  -3.964410
H  -4.709752  0.420508  -6.070798
H  -4.055310  -1.965210  -6.038192
H  -3.450586  -3.051889  -3.883969

Cartesian forces, eV/Å:
C 0.139 -0.694 -0.337
C -0.389 -0.038 0.821
C 0.314 0.444 -0.790
C -0.566 -0.304 0.001
C 0.522 -0.203 -0.026
C 0.280 -1.591 -0.577
O 0.265 1.239 2.077
C -0.163 -0.198 -3.063
C -0.009 1.179 0.681
C 1.678 -0.243 0.359
F -0.268 -0.138 0.260
C -0.971 -2.456 0.511
O 2.701 -0.684 1.318
S -2.875 3.672 1.294
O -0.251 -3.475 -0.446
O 3.107 -0.675 -1.743
O -1.348 1.209 -0.116
H 0.497 -0.130 0.294
H 0.383 -0.162 -0.551
H -0.769 0.181 -0.158
H -0.410 0.353 -0.307
H 0.044 0.425 0.662
H 0.426 -0.547 0.122
H -0.107 -0.072 -0.548
H -0.235 0.603 0.162
H 0.321 -0.411 -0.171
H -0.334 0.336 0.600
H 0.410 0.501 -0.009
H -0.663 -0.100 -0.228
'''

I never really fell out of love with writing, but that’s because I didn’t know I was in love to begin with. I didn’t even know I was a writer. Am a writer. I thought I was an artist.

Since childhood, I always wanted to be an artist. I loved art and making it came pretty easily to me so that’s how I saw myself. I doodled. I sketched. I painted occasionally. I made collages. I adored art museums, art books, and art movies. Then, one day in high school at the home of an acquaintance, I saw in his room a shelf with row after row of used up sketchbooks. There must have been fifty at least.

_Molecular data that have nothing to do with the page_
-- begin --
1.
# C25H31CsF5GeN4O3Se

C25H31CsF5GeN4O3Se as an isolated structure (wB97M-V/def2-TZVPD, the OMol25 dataset).

Each line ends with the Löwdin spin population.
Positions of all 71 atoms, in Å:
Cs: 0.592 -0.053 0.667  0.000
C: 2.941 -2.717 -0.746  0.000
C: 1.603 -3.459 -0.733  0.000
C: 1.568 -4.477 -1.879  0.000
C: 1.427 -4.197 0.592  0.000
O: 0.537 -2.533 -0.826  0.000
Ge: -0.152 -1.813 -2.422  0.000
O: 1.054 -0.374 -2.301  0.000
C: 1.140 0.675 -3.239  0.000
C: 1.080 0.163 -4.683  0.000
C: 2.492 1.352 -3.010  0.000
C: 0.016 1.688 -3.009  0.001
O: -1.464 -0.862 -1.462  0.000
C: -2.755 -1.332 -1.147  0.000
C: -3.665 -0.109 -1.046  0.000
C: -2.720 -2.066 0.196  0.000
C: -3.305 -2.273 -2.226  0.000
H: 3.776 -3.423 -0.717  0.000
H: 3.033 -2.061 0.124  0.000
H: 3.015 -2.107 -1.648  0.000
H: 2.326 -5.249 -1.728  0.000
H: 1.755 -3.991 -2.839  0.000
H: 0.584 -4.950 -1.925  0.000
H: 2.242 -4.907 0.762  0.000
H: 0.479 -4.740 0.590  0.000
H: 1.420 -3.482 1.413  0.000
H: 1.840 -0.606 -4.840  0.000
H: 1.257 0.984 -5.384  0.000
H: 0.105 -0.276 -4.902  0.000
H: 3.299 0.636 -3.179  0.000
H: 2.559 1.706 -1.980  0.000
H: 2.628 2.207 -3.679  0.000
H: -0.956 1.197 -3.075  0.000
H: 0.061 2.504 -3.736  0.000
H: 0.101 2.125 -2.011  0.000
H: -3.270 0.594 -0.311  0.000
H: -4.680 -0.394 -0.754  0.000
H: -3.706 0.402 -2.010  0.000
H: -2.446 -1.383 1.005  0.000
H: -1.984 -2.871 0.162  0.000
H: -3.701 -2.485 0.442  0.000
H: -3.263 -1.784 -3.202  0.000
H: -4.343 -2.536 -2.007  0.000
H: -2.717 -3.191 -2.283  0.000
F: 0.829 -2.521 3.913  0.000
C: 2.185 -2.328 3.766  0.000
C: 2.659 -1.480 2.803  0.000
C: 4.023 -1.384 2.768  0.000
F: 4.637 -0.563 1.848  0.000
C: 4.887 -2.075 3.599  0.000
F: 6.235 -1.953 3.523  0.000
C: 4.350 -2.925 4.549  0.000
F: 5.159 -3.614 5.384  0.000
C: 2.976 -3.057 4.638  0.000
F: 2.462 -3.891 5.574  0.000
N: -0.286 2.900 2.061  0.095
C: -0.565 3.526 3.010  0.029
N: -0.919 4.144 4.098  0.027
C: -0.581 5.407 4.254  0.004
N: -0.340 6.525 4.467  0.009
Se: -1.960 3.542 -0.054  0.694
C: -2.863 4.962 0.819  0.058
C: -4.253 5.053 0.780  0.035
C: -4.870 6.122 1.409  -0.003
N: -4.226 7.063 2.098  0.026
C: -2.896 6.946 2.159  -0.004
C: -2.178 5.946 1.526  0.026
H: -4.847 4.302 0.276  0.004
H: -5.951 6.215 1.368  -0.001
H: -2.369 7.685 2.752  -0.001
H: -1.100 5.926 1.599  0.001

Values from the calculation:
* 2S+1: 2
* HOMO-LUMO gap (alpha / beta): 6.51 / 5.65 eV
* charge: -2
* relative energy (zero: lowest compared OMol25 entry of this formula, charge and spin): 0.3725 eV
* LUMO (alpha / beta): 3.69 / 2.83 eV

***

2.
# CH4N2OS2

One molecule with the formula CH4N2OS2 at a distorted geometry (wB97M-V/def2-TZVPD, the OMol25 dataset).

Each line ends with the Mulliken charge.
Positions of all 10 atoms, in Å:
O: -2.220 -0.741 -0.162  -0.607
C: -1.048 -0.428 0.155  0.653
N: -0.698 0.950 0.567  -0.380
S: 0.558 1.777 -0.196  -0.190
N: 0.002 -1.210 -0.155  -0.211
S: 1.649 -1.005 0.147  -0.234
H: -1.644 1.587 0.198  0.333
H: 1.576 1.403 0.740  0.181
-- stop --

I had barely filled one sketchbook, let alone fifty. I felt discouraged because this obviously said something about the lack of art within me and the abundance of art inside my friend. Fast forward to college and failure to get accepted into my school’s graphic design program. Just one more instance of seeing others do something with ease that, to me, felt like pulling teeth. Prior to deciding to attend a large state school, I was planning to attend a liberal arts college (I actually had several choices in mind), thinking that was the right path for me. I'm glad I ended up where I did because not only did I make wonderful memories, but I also met my southern beau. But I digress.

'''
The following is a DFT calculation (ωB97M-V/def2-TZVPD) of C26H21BrN5Ru as an isolated structure.

ORCA input file:
```
! RIJCOSX wB97M-V def2-TZVPD def2/J DEFGRID3
* xyz 2 2
Ru 0.0430 0.0342 -0.3727
C -0.7316 -2.8905 0.0473
N -0.0522 -1.7763 0.7753
C -0.5970 -1.5192 2.1428
C -0.9185 -0.0725 2.2802
N -0.6583 0.7920 1.3129
C -0.9878 2.0666 1.8012
C -0.8850 3.3342 1.2365
C -1.3035 4.3984 2.0077
C -1.8121 4.2188 3.3040
C -1.9112 2.9675 3.8742
C -1.4819 1.9028 3.0931
N -1.4219 0.5320 3.3571
C -1.3409 -2.3876 -1.2147
N -1.1970 -1.1384 -1.6264
C -1.9220 -1.0455 -2.8316
C -2.1565 0.0254 -3.6896
C -2.9321 -0.2143 -4.8047
C -3.4724 -1.4821 -5.0697
C -3.2589 -2.5480 -4.2218
C -2.4761 -2.2932 -3.1039
N -2.0846 -3.1178 -2.0466
H -0.0027 -3.6711 -0.1789
H -1.4997 -3.3454 0.6732
H 0.9152 -2.0569 0.8815
H -1.4789 -2.1327 2.3261
H 0.1420 -1.7956 2.8984
H -0.4955 3.4847 0.2420
H -1.2393 5.3995 1.6047
H -2.1297 5.0837 3.8695
H -2.2967 2.8267 4.8745
H -1.6998 0.0822 4.2156
H -1.7612 1.0117 -3.5020
H -3.1337 0.5948 -5.4928
H -4.0745 -1.6234 -5.9563
H -3.6812 -3.5238 -4.4184
H -2.3283 -4.0895 -1.9323
Br 0.2426 1.9700 -1.9416
C 2.0187 2.4417 -1.4252
C 2.6337 3.4938 -2.0275
C 3.9524 3.8023 -1.6311
C 4.5678 3.0557 -0.6692
C 3.9072 1.9663 -0.0483
C 4.5454 1.2054 0.9603
C 3.8905 0.1738 1.5675
C 2.5756 -0.1485 1.1859
C 1.8941 0.5275 0.1869
C 2.5858 1.6279 -0.4317
H 2.1371 4.0786 -2.7896
H 4.4619 4.6324 -2.0999
H 5.5798 3.2853 -0.3617
H 5.5575 1.4601 1.2474
H 4.3746 -0.3973 2.3482
H 2.1082 -0.9518 1.7426
*
```

energy relative to the best compared isomer or geometry (same formula, charge and spin): 0.433 eV
gap between HOMO and LUMO (alpha / beta): 7.13 / 6.42 eV

The following is a DFT calculation (ωB97M-V/def2-TZVPD) of C39H52BrN5O11P2STi as an isolated structure.

ORCA input file:
```
! RIJCOSX wB97M-V def2-TZVPD def2/J DEFGRID3
* xyz 2 1
Ti -0.2879 -0.7356 0.0645
O -2.0174 -3.4955 5.2460
C -1.5636 -3.0333 4.0843
C -0.2076 -2.8487 3.7996
C 0.1389 -2.3163 2.5880
N -0.7607 -1.9943 1.6363
C -2.0455 -2.3268 1.8818
Br -3.2302 -2.3493 0.4275
C -2.5052 -2.7614 3.0947
H -1.2981 -3.7480 5.8384
H 0.5602 -3.1242 4.5103
H 1.1726 -2.1167 2.3430
H -3.5470 -2.9952 3.2502
C -0.3195 1.2954 4.6535
C 0.9480 0.5865 4.2388
C 2.2280 1.2188 4.7339
O 0.9691 0.4203 2.7598
P 1.2681 1.4697 1.6554
O 0.5111 1.0965 0.3916
C 2.9613 1.1488 1.1222
P 2.8212 -0.1058 -0.1795
O 1.6982 -1.1097 0.1536
O 2.7285 0.5851 -1.5502
C 1.8524 1.5389 -2.2902
C 2.4717 2.9065 -2.1304
C 1.7863 1.0853 -3.7266
O 4.1187 -0.9485 -0.2083
C 5.4138 -0.7101 -0.8967
C 5.2973 -1.1393 -2.3394
C 5.8771 0.7151 -0.6995
O 1.0576 2.8425 2.2837
C 0.5859 4.1983 1.8596
C 1.0656 5.1429 2.9297
C 1.0980 4.5041 0.4768
H -0.4876 1.1131 5.7155
H -1.1736 0.9157 4.0943
H -0.2484 2.3716 4.5003
H 0.9099 -0.4522 4.5633
H 2.3304 2.2516 4.4013
H 3.1047 0.6448 4.4317
H 2.2037 1.2254 5.8240
H 3.5687 0.7670 1.9431
H 3.4484 2.0271 0.6956
H 0.8695 1.4994 -1.8219
H 3.4430 2.9444 -2.6247
H 2.5970 3.1770 -1.0820
H 1.8245 3.6517 -2.5934
H 2.7498 1.2210 -4.2197
'''
### The piece goes on

What I didn’t realize was all that time my true passion was right under my nose. I might not have drawn enough for fifty sketchbooks, but over the years I’ve certainly filled fifty journals (including composition books, spiral notebooks, and the like) with my loopy cursive writing. From my first purple locking diary at age 7 to file after file on my computer’s hard drive, I’ve always written. None of this content is profound or even very exciting, but it serves to document my experiences over these past 29 years.

Jeff Goins said that to be a writer, we must say and believe as much about ourselves. Maybe for you, it’s something totally different. Maybe like with my experience, your passion is something you’ve done for years, but it feels so natural that you don’t even realize it’s what you are. Maybe it’s time to say it and believe it about yourself. Who knows where it might lead you?

{If you made it this far, thanks for reading…I know this post strays a bit from the typical southern flavor SBS is known for, but I appreciate your thoughts if it struck a chord with you.}